var i: Int?
i? = 1
I thought the above code would print 1 but actually it printed nil. As I guess, ? makes program skip i? = 1 when i is nil.
Even if I replace i? = 1 with i? += 1, it still can run and print nil
var i: Int?
i? += 1
i? is Int? and 1 is Int but somehow + operator still works on 2 different types and passed compiler check.
Could anyone help me explain what happened? It's perfect if we can have an official document which talks about this behavior.
This is Optional Chaining as in foo?.bar = 123.
If you change the type to Int, the compiler will complain:
var i: Int
i? = 1 // Cannot use optional chaining on non-optional value of type 'Int'
From the linked reference above:
The assignment is part of the optional chaining, which means none of the code on the right-hand side of the = operator is evaluated.
You can find more info on Swift basics here.
In your example, i is an optional Int. To assign a value to it, you
var i: Int?
i = 1
If you want to calculate a new value for it, you could use optional binding using guard let of if let (the x variable in the example below) or force unwrap, as in the print() statement.
var i: Int?
i = 1
if let x = i {
i = x + 1
Consider the following example where foo is explicitly defined as optional:
let foo: Int? = 10
let bar = { $0 * 2 }
This compiles and works as expected. Now consider a subsequent example using optional chaining:
let foo: [Int]? = [0, 1, 2]
let bar = foo? { $0 * 2 }
This fails to compile with the following message:
error: value of type 'Int' has no member 'map'
Why does the compiler see foo?.count as an Int and not an Int?? This defies the Swift Language Book:
To reflect the fact that optional chaining can be called on a nil value, the result of an optional chaining call is always an optional value, even if the property, method, or subscript you are querying returns a non-optional value.
This is an operator precedence issue. You need to add parentheses to change the order:
let bar = (foo?.count).map { $0 * 2 }
Consider the case of a Collection like String rather than an Int:
let foo: String? = "ABC"
let bar = foo?.uppercased().map(\.isLowercase) // [false, false, false]
In this case, it's sensible that the .map applies to the String rather than to the Optional. If the precedence were the other way, then you'd need a ?. at every step (or a lot of parentheses :D)
The type of count unwraps to Int if available. Int does not implement the function map. Optional chaining simply fails when it finds nil. The compiler is trying to tell you if it does not fail the operation map cannot happen. The result is bar which is indeed an optional, because if the operation fails( because something unwraps to nil) the entire chain must return nil.
var a: String = "1"
var b: Int = Int(a)
The example above triggers an error saying that Int needs to be unwrapped.
var a: String = "1"
var b = Int(a)
However if we dismiss the type when declared b and do the same thing, it won't trigger any error.
What is the difference between the two approach? Why the first one needs to be unwrap even though it is not declared as optional?
It is because in first example you are saying that b is of type Int and in second example since you did not make type explicit compiler sets it to Int?.
It is because Int(string) will only work if string can be interpreted as Int, so Int("3")->3 but what should it do if you say Int("text")->nil, because it is not able to parse string into a an Int
You could provide a default value if you wanted in the first example and then it would be OK.
var b: Int = Int(a) ?? 0
Have a look at this statement from Apple document:
let optionalInt: Int? = 9
Why would you use Int? as the type for this constant? You know that it cannot be nil as you are assigning the value 9 to it? The purpose of an optional type (as I understand) is to be able to hold nil. There is no need for optionalInt to hold nil in this statement. Could someone explain?
I found a case where you might use it. It's a bit of a stretch, but here we go.
One reason for using let x: Int? = whatever is if you have an overloaded function where the parameters are different types only insofar as one is an optional. For example:
func doSomething(x: Int)
print("\(x) is an Int")
func doSomething(x: Int?)
print("\(x) is an optional")
If you want to ensure the second overload is called, you need to make the parameter explicitly an optional e.g.
let y = 5
doSomething(y) // prints 5 is an Int
let z: Int? = 6
doSomething(z) // prints Optional(6) is an optional
I've yet to see anything like this in real life.
As regards the Apple documentation, it's just a simple example.
I think this particular part of the Apples document is intended to simply illustrate the concept of optionals and nothing else. They probably use let out of the good practice to always start with declaring let properties/variables and only switch them to var if there is an explicit need to change their values.
As to the question why would one declare let foo: Int? = 9 and not just let foo = 9. Well, I really can not imagine where it would be needed. Even if some API expects an Int? then you still can pass a variable of Int type to such API and Swift will implicitly convert it for you. Perhaps, if you pass it to a generic function and you want the Int? version of that generic to be used then you will want to do that, but it's way too academic already to have practical use.
A couple ideas:
Assuming you have a method
func foo(xValue: Int?)->Int? {
// some logic
Perhaps you want to define your constant to exactly match the method definition.
let optionalInt: Int? = 9
let fooVal = foo(optionalInt)
Or (changing your initial let statement), the constant's value is determined by a function that returns an Optional
let optionalInt: Int? = foo(nil)
I've a placeholder object, basically in context of my application, the function carries a playload from one place to the other. I've assigned it the type Any but it's ending up in error
'Any' is not convertible to Int
I'm using Any instead of AnyObject as it can carry non object as well like tuples or closures. Any advise in the following case?
var n: Any = 4
n = n * 4
In a strongly typed language it is important to get your types right as early as possible. Otherwise you'll end up fighting the type system at every turn.
In your case, the placeholder, as you've described, needs to be Any because it is carrying arbitrary data - but n is an Int and should be declared as such.
Your code should have this feel:
func processPlaceholder (placeHolder: Any) {
if let n = placeHolder as? Int {
n = n * 4
// ...
else if let s = placeHolder as? String {
s = s + "Four"
// ....
// ...
If you know n is an Int you can cast it as such.
var n: Any = 4
n = n as Int * 4
n will still be of type Any, so if you want to do multiple operations you will have to cast it each time.
The other answers are perfectly right. This is just to clarify.
Yes, it's an Int under the hood. But not as far as the compiler is concerned! You have typed this thing as an Any and that's all the compiler knows. And you cannot do arithmetic operations with an Any.
If you insist on storing this thing in an Any, then you must cast down to an Int in order to use it as if it were an Int. Now the compiler will let you treat it as an Int. And it will work, too, as long as it really is an Int. (If you lie and it is not an Int, you'll crash when the program runs.)
In Swift Programming, should we need to declare datatype of the variable or will the variable change it's type based on value?
Which one is enough to declare a variable:
var MyVar: Int = 50
var Myvar = 50
var myVar: Int = 50
var myVar = 50
They are absolutely equivalent. The : Int is unnecessary because you are assigning 50 right there in the declaration, so Swift infers that this is to be an Int variable.
If you are going to assign as part of the declaration, the only time you need to supply the type is when the type is surprising. For example:
var myChar : Character = "s"
If you don't say Character, you'll get a String.
WWDC 2104 - Introduction To Swift (Session 402)
var languageName = “Swift” // inferred as String
var version = 1.0 // inferred as Double
var introduced = 2014 // inferred as Int
var isAwesome = true // inferred as Bool
var 🐸 = “Frog” // using unicode names
You should also use “let” for variables that will not change.
Type inference is one of the great parts of Swift. This means that when you assign a variable or constant, the system infers what type it should be. If for instance, you were declaring a variable before you set it, you'd need to specify its type explicitly.
What comes next are data records, not part of the text >
/*
1.
First-principles (r²SCAN) data for crystalline Ti3Co5B2 at its relaxed geometry, as listed in Materials Project.

abc: 8.3545 8.3545 3.0470
angles: 90.00 90.00 90.00
Fractional positions:
Ti 0.0000 0.0000 0.0000
Ti 0.1744 0.3256 0.0000
Ti 0.3256 0.8256 0.0000
Ti 0.5000 0.5000 0.0000
Ti 0.6744 0.1744 0.0000
Ti 0.8256 0.6744 0.0000
Co 0.0000 0.5000 0.5000
Co 0.0709 0.7795 0.5000
Co 0.2205 0.0709 0.5000
Co 0.2795 0.5709 0.5000
Co 0.4291 0.2795 0.5000
Co 0.5000 0.0000 0.5000
Co 0.5709 0.7205 0.5000
Co 0.7205 0.4291 0.5000
Co 0.7795 0.9291 0.5000
Co 0.9291 0.2205 0.5000
B 0.1203 0.6203 0.0000
B 0.3797 0.1203 0.0000
B 0.6203 0.8797 0.0000
B 0.8797 0.3797 0.0000

## Properties
Symmetry: P4/mbm
E (eV for the cell shown): -248.82

=====

2.
First-principles (r²SCAN) data for crystalline K2ReBr6 at its relaxed geometry, as listed in Materials Project.

abc: 7.3805 7.3805 7.3805
angles: 60.00 60.00 60.00
Fractional positions:
K 0.2500 0.2500 0.2500
K 0.7500 0.7500 0.7500
Re 0.0000 0.0000 0.0000
Br 0.2417 0.2417 0.7583
Br 0.2417 0.7583 0.2417
Br 0.2417 0.7583 0.7583
Br 0.7583 0.2417 0.2417
Br 0.7583 0.2417 0.7583
Br 0.7583 0.7583 0.2417

## Properties
Symmetry: Fm-3m
E (eV for the cell shown): -154.72

=====

3.
First-principles (r²SCAN) data for crystalline LaAs2Pd3 at its relaxed geometry, as listed in Materials Project.

abc: 4.1698 8.6664 10.0815
angles: 107.50 90.03 103.88
Fractional positions:
La 0.0000 0.0000 0.0000
La 0.1560 0.3113 0.7028
La 0.8440 0.6887 0.2972
As 0.2001 0.4006 0.1263
As 0.3644 0.7277 0.5480
As 0.4645 0.9295 0.2206
As 0.5355 0.0705 0.7794
As 0.6356 0.2723 0.4520
As 0.7999 0.5994 0.8737
Pd 0.0463 0.0935 0.3353
Pd 0.2225 0.4449 0.3911
Pd 0.3259 0.6505 0.0345
Pd 0.3738 0.7460 0.7969
Pd 0.5000 0.0000 0.5000
Pd 0.6262 0.2540 0.2031
Pd 0.6741 0.3495 0.9655
Pd 0.7775 0.5551 0.6089
Pd 0.9537 0.9065 0.6647

## Properties
Symmetry: P-1
E (eV for the cell shown): -400.87

=====

4.
First-principles (r²SCAN) data for crystalline K2GeTe4 at its relaxed geometry, as listed in Materials Project.

abc: 12.8013 8.6168 10.0530
angles: 90.00 104.25 90.00
Fractional positions:
K 0.0455 0.0639 0.2126
K 0.0455 0.4361 0.7126
K 0.3466 0.0746 0.6945
K 0.3466 0.4254 0.1945
K 0.6534 0.5746 0.8055
K 0.6534 0.9254 0.3055
K 0.9545 0.5639 0.2874
K 0.9545 0.9361 0.7874
Ge 0.2567 0.6377 0.5373
Ge 0.2567 0.8623 0.0373
Ge 0.7433 0.1377 0.9627
Ge 0.7433 0.3623 0.4627
Te 0.1162 0.6561 0.0300
Te 0.1162 0.8439 0.5300
Te 0.2022 0.1396 0.9583
Te 0.2022 0.3604 0.4583
Te 0.3495 0.5272 0.7816
Te 0.3495 0.9728 0.2816
Te 0.4291 0.7292 0.4547
Te 0.4291 0.7708 0.9547
Te 0.5709 0.2292 0.0453
Te 0.5709 0.2708 0.5453
Te 0.6505 0.0272 0.7184
Te 0.6505 0.4728 0.2184
Te 0.7978 0.6396 0.5417
Te 0.7978 0.8604 0.0417
Te 0.8838 0.1561 0.4700
Te 0.8838 0.3439 0.9700

## Properties
Symmetry: P2_1/c
E (eV for the cell shown): -529.07

=====

5.
First-principles (r²SCAN) data for crystalline AlCu3 at its relaxed geometry, as listed in Materials Project.

abc: 3.6374 3.6374 3.6374
*/
var someVar: Int
someVar = 15
That way the compiler knows when it is being properly set.
You can declare a variable implicitly as:
var myVar = 50
or explicitly as:
var myVar:Int = 50
Also notice that you do not use the semi-colon ; to end the line.
Note that values are never implicitly converted to another type. If you need to convert a value to a different type, explicitly make an instance of the desired type, such as the following:
let label = "The width is "
let width = 94
let widthLabel = label + String(width)
From a complete beginner's view (mine) i see the following benefit of declaring a variable explicitly - the compiler will validate the input value - i.e. if you declare an empty variable and then update it with the wrong type value you will be prompted.
The first seems to be used only integer assignment.
I need to write code to test.
I mean,
Defined as int can not assign to string, the following is wrong:
var myVar: Int
myVar = "50"
And such is wrong:
var myVar
myVar = "50"
So, if assignment when you define a variable, use both two.
Otherwise, use:
var myVar: Int
Therefore, it is no difference between the two lists you.
Note that I changed MyVar to myVar to follow the convention.
var myVar: Int = 50
means -> message to the compiler will be.
Declare a variable called myVar that is of type(:) Int
var myVar = 50
will result the exact same. But here compiler will deduce the type for us. (Welcome to modern intelligent compilers). Type inference is strong feature of swift language.
Be aware that Swift is Type Safe Language